**Brief**
Your job: reproduce the whole of the calculation results below with every line break kept.
**Data**
=====
C8H27HgO8 | ωB97M-V/def2-TZVPD

Structure (XYZ):
```
44
C8H27HgO8, DFT ωB97M-V/def2-TZVPD
Hg 3.631 12.757 14.918
C 1.728 8.899 15.198
C 2.385 10.256 15.199
O 3.618 10.430 15.113
O 1.742 11.344 15.283
H 0.700 8.952 15.556
H 2.271 8.233 15.869
H 1.774 8.467 14.198
C 1.886 3.775 15.789
O 1.663 5.154 15.559
H 2.782 3.570 16.376
H 1.066 3.309 16.335
H 1.946 3.316 14.802
H 1.518 5.641 16.374
C 1.466 8.483 11.526
O 1.492 7.093 11.574
H 1.433 8.880 10.511
H 0.751 8.956 12.198
H 2.478 8.757 11.826
H 2.258 6.814 12.081
C -1.454 11.056 15.802
O -0.520 11.494 16.780
H -2.502 11.194 16.066
H -1.322 11.551 14.840
H -1.280 9.987 15.679
H 0.374 11.511 16.430
C 5.727 8.600 17.119
O 5.946 8.763 15.723
H 4.738 8.150 17.206
H 6.425 7.971 17.672
H 5.728 9.612 17.524
H 5.225 9.258 15.328
C 4.351 6.875 13.566
O 3.235 6.032 13.417
H 4.998 6.830 12.690
H 3.951 7.855 13.825
H 4.914 6.413 14.377
H 2.917 5.848 14.304
C 1.881 6.646 18.561
O 0.856 6.764 17.621
H 2.736 7.295 18.368
H 1.510 7.091 19.484
H 2.212 5.608 18.543
H 0.028 6.801 18.106
```

Values from the calculation:
HOMO energy ... -12.07 eV
Energy above the lowest of the compared OMol25 structures with the same formula, charge and spin ... 130.6 kcal/mol
Net charge ... +1
Total energy ... -29275.39542 eV
HOMO-LUMO gap ... 2.768 eV

=====

# C5H14N2

The molecule C5H14N2 at a distorted geometry (ωB97M-V with the def2-TZVPD basis set, the OMol25 dataset).

```
21
Properties=species:S:1:pos:R:3:forces:R:3
C -2.004590 -0.362470 0.756075 -0.3 -1.3 0.7
C -1.157606 0.883416 1.153813 -0.6 -0.9 -1.9
C 0.337071 0.574600 1.284277 -0.8 -0.3 1.0
C 1.234160 0.870598 0.082457 1.1 -0.2 0.8
N 1.424667 -0.307988 -0.745190 0.5 -0.8 0.1
C 1.437215 -0.218185 -2.185580 0.3 0.0 -0.7
N -1.431799 -1.361245 -0.210279 2.1 0.7 0.7
H -2.206670 -0.915419 1.683427 -0.5 0.2 -0.1
H -2.927600 -0.048351 0.266534 -0.2 0.2 0.6
H -1.386677 1.522895 0.298978 0.7 0.6 0.1
H -1.610761 1.378520 2.008442 0.1 -0.2 0.2
H 0.699628 0.961716 2.241524 0.2 0.9 -0.4
H 0.468229 -0.487289 1.538654 -0.2 -0.1 -0.5
H 0.943010 1.704563 -0.552897 -0.3 0.1 0.2
H 2.183133 1.130481 0.570106 0.2 0.3 -0.5
H 2.251155 -0.828686 -0.466936 -0.4 0.2 0.3
H 2.408426 -0.455506 -2.630900 0.3 0.3 0.3
H 0.800509 -0.972059 -2.650211 -0.6 0.3 0.1
H 1.195238 0.792720 -2.516222 -0.3 -0.1 -0.1
H -1.183151 -2.244024 0.248855 -1.1 0.1 0.3
H -0.436299 -1.079549 -0.257374 -0.4 0.2 -1.0
```
Positions in Å, forces in eV/Å.

Output
- charge = 0
- HOMO energy (Ha) = -0.318
- E_LUMO (eV) = 1.07
- energy above the lowest of the compared OMol25 structures with the same formula, charge and spin (kcal per mole) = 39.12
- max |F| (eV/Å) = 2.29
- 2S+1 = 1
- SMILES string = CNCCCCN

---

# C41H118N14O14

A cluster of 14 separate species, C41H118N14O14 in total at a distorted geometry (ωB97M-V with the def2-TZVPD basis set, the OMol25 dataset).

```
187
Properties=species:S:1:pos:R:3:forces:R:3
C -2.678535 -2.857832 -2.625760 -0.6 0.1 -0.8
C -3.764015 -2.061738 -3.352925 0.6 -0.6 -0.5
O -3.978793 -2.714724 -4.642910 0.2 0.5 0.9
H -1.741258 -2.628067 -3.119328 0.3 -0.3 0.0
H -2.898130 -3.930077 -2.689442 0.2 0.2 0.1
H -2.611095 -2.542705 -1.595982 0.0 0.0 0.5
H -3.370547 -1.041400 -3.475457 -0.3 0.0 -0.2
H -4.681881 -2.019541 -2.777707 -0.2 -0.1 0.0
H -4.827332 -2.432584 -4.992138 0.0 0.1 0.0
C -0.052135 -0.535260 -1.578058 0.9 1.1 0.7
C -0.778933 0.025569 -0.367197 0.2 -0.2 -0.4
O -0.187809 -0.421892 0.831001 0.4 0.0 0.9
H -0.524251 -0.165008 -2.476035 -0.2 -0.2 -0.5
H 0.071429 -1.612035 -1.581578 -0.1 -0.2 0.0
H 0.936451 -0.045952 -1.502875 -0.1 -0.5 -0.4
H -1.799425 -0.369850 -0.360370 -0.3 0.5 0.0
H -0.737041 1.125362 -0.472519 -0.4 -0.4 0.3
H 0.407274 0.239882 1.269024 -0.5 -0.2 -0.8
C -3.397272 2.263795 -2.475784 0.5 1.0 0.3
C -4.534663 2.358188 -3.446428 -0.4 -0.5 0.1
O -5.461697 3.345453 -2.993339 0.4 0.2 0.0
H -2.682943 1.496477 -2.772785 0.0 -0.1 0.0
H -3.733819 2.092885 -1.455118 -0.1 -0.2 0.0
H -2.874781 3.235388 -2.475941 0.0 -0.3 0.1
=====
**Here it is**
C8H27HgO8 | ωB97M-V/def2-TZVPD

Structure (XYZ):
```
44
C8H27HgO8, DFT ωB97M-V/def2-TZVPD
Hg 3.631 12.757 14.918
C 1.728 8.899 15.198
C 2.385 10.256 15.199
O 3.618 10.430 15.113
O 1.742 11.344 15.283
H 0.700 8.952 15.556
H 2.271 8.233 15.869
H 1.774 8.467 14.198
C 1.886 3.775 15.789
O 1.663 5.154 15.559
H 2.782 3.570 16.376
H 1.066 3.309 16.335
H 1.946 3.316 14.802
H 1.518 5.641 16.374
C 1.466 8.483 11.526
O 1.492 7.093 11.574
H 1.433 8.880 10.511
H 0.751 8.956 12.198
H 2.478 8.757 11.826
H 2.258 6.814 12.081
C -1.454 11.056 15.802
O -0.520 11.494 16.780
H -2.502 11.194 16.066
H -1.322 11.551 14.840
H -1.280 9.987 15.679
H 0.374 11.511 16.430
C 5.727 8.600 17.119
O 5.946 8.763 15.723
H 4.738 8.150 17.206
H 6.425 7.971 17.672
H 5.728 9.612 17.524
H 5.225 9.258 15.328
C 4.351 6.875 13.566
O 3.235 6.032 13.417
H 4.998 6.830 12.690
H 3.951 7.855 13.825
H 4.914 6.413 14.377
H 2.917 5.848 14.304
C 1.881 6.646 18.561
O 0.856 6.764 17.621
H 2.736 7.295 18.368
H 1.510 7.091 19.484
H 2.212 5.608 18.543
H 0.028 6.801 18.106
```

Values from the calculation:
HOMO energy ... -12.07 eV
Energy above the lowest of the compared OMol25 structures with the same formula, charge and spin ... 130.6 kcal/mol
Net charge ... +1
Total energy ... -29275.39542 eV
HOMO-LUMO gap ... 2.768 eV

=====

# C5H14N2

The molecule C5H14N2 at a distorted geometry (ωB97M-V with the def2-TZVPD basis set, the OMol25 dataset).

```
21
Properties=species:S:1:pos:R:3:forces:R:3
C -2.004590 -0.362470 0.756075 -0.3 -1.3 0.7
C -1.157606 0.883416 1.153813 -0.6 -0.9 -1.9
C 0.337071 0.574600 1.284277 -0.8 -0.3 1.0
C 1.234160 0.870598 0.082457 1.1 -0.2 0.8
N 1.424667 -0.307988 -0.745190 0.5 -0.8 0.1
C 1.437215 -0.218185 -2.185580 0.3 0.0 -0.7
N -1.431799 -1.361245 -0.210279 2.1 0.7 0.7
H -2.206670 -0.915419 1.683427 -0.5 0.2 -0.1
H -2.927600 -0.048351 0.266534 -0.2 0.2 0.6
H -1.386677 1.522895 0.298978 0.7 0.6 0.1
H -1.610761 1.378520 2.008442 0.1 -0.2 0.2
H 0.699628 0.961716 2.241524 0.2 0.9 -0.4
H 0.468229 -0.487289 1.538654 -0.2 -0.1 -0.5
H 0.943010 1.704563 -0.552897 -0.3 0.1 0.2
H 2.183133 1.130481 0.570106 0.2 0.3 -0.5
H 2.251155 -0.828686 -0.466936 -0.4 0.2 0.3
H 2.408426 -0.455506 -2.630900 0.3 0.3 0.3
H 0.800509 -0.972059 -2.650211 -0.6 0.3 0.1
H 1.195238 0.792720 -2.516222 -0.3 -0.1 -0.1
H -1.183151 -2.244024 0.248855 -1.1 0.1 0.3
H -0.436299 -1.079549 -0.257374 -0.4 0.2 -1.0
```
Positions in Å, forces in eV/Å.

Output
- charge = 0
- HOMO energy (Ha) = -0.318
- E_LUMO (eV) = 1.07
- energy above the lowest of the compared OMol25 structures with the same formula, charge and spin (kcal per mole) = 39.12
- max |F| (eV/Å) = 2.29
- 2S+1 = 1
- SMILES string = CNCCCCN

---

# C41H118N14O14

A cluster of 14 separate species, C41H118N14O14 in total at a distorted geometry (ωB97M-V with the def2-TZVPD basis set, the OMol25 dataset).

```
187
Properties=species:S:1:pos:R:3:forces:R:3
C -2.678535 -2.857832 -2.625760 -0.6 0.1 -0.8
C -3.764015 -2.061738 -3.352925 0.6 -0.6 -0.5
O -3.978793 -2.714724 -4.642910 0.2 0.5 0.9
H -1.741258 -2.628067 -3.119328 0.3 -0.3 0.0
H -2.898130 -3.930077 -2.689442 0.2 0.2 0.1
H -2.611095 -2.542705 -1.595982 0.0 0.0 0.5
H -3.370547 -1.041400 -3.475457 -0.3 0.0 -0.2
H -4.681881 -2.019541 -2.777707 -0.2 -0.1 0.0
H -4.827332 -2.432584 -4.992138 0.0 0.1 0.0
C -0.052135 -0.535260 -1.578058 0.9 1.1 0.7
C -0.778933 0.025569 -0.367197 0.2 -0.2 -0.4
O -0.187809 -0.421892 0.831001 0.4 0.0 0.9
H -0.524251 -0.165008 -2.476035 -0.2 -0.2 -0.5
H 0.071429 -1.612035 -1.581578 -0.1 -0.2 0.0
H 0.936451 -0.045952 -1.502875 -0.1 -0.5 -0.4
H -1.799425 -0.369850 -0.360370 -0.3 0.5 0.0
H -0.737041 1.125362 -0.472519 -0.4 -0.4 0.3
H 0.407274 0.239882 1.269024 -0.5 -0.2 -0.8
C -3.397272 2.263795 -2.475784 0.5 1.0 0.3
C -4.534663 2.358188 -3.446428 -0.4 -0.5 0.1
O -5.461697 3.345453 -2.993339 0.4 0.2 0.0
H -2.682943 1.496477 -2.772785 0.0 -0.1 0.0
H -3.733819 2.092885 -1.455118 -0.1 -0.2 0.0
H -2.874781 3.235388 -2.475941 0.0 -0.3 0.1